Entries:
1.
ORCA calculation (the ωB97M-V functional and the def2-TZVPD basis) on 7 unconnected molecules or ions with the total composition C21H58O23P2S5 at a distorted geometry.

ORCA input file:
```
! RIJCOSX wB97M-V def2-TZVPD def2/J DEFGRID3
* xyz 1 2
O -11.379 32.246 -1.313
S -10.740 33.544 -1.603
O -9.637 33.569 -2.567
O -11.885 34.583 -2.244
C -13.125 34.757 -1.529
C -14.106 35.745 -2.063
C -10.323 34.449 0.011
H -12.952 35.017 -0.485
H -13.491 33.734 -1.452
H -14.866 36.020 -1.331
H -14.468 35.224 -2.949
H -13.623 36.668 -2.382
H -11.091 34.348 0.778
H -10.232 35.527 -0.118
H -9.295 34.158 0.227
O -12.632 35.462 -8.467
S -13.722 34.539 -8.376
O -13.392 33.091 -8.439
O -14.694 34.858 -7.109
C -14.279 34.809 -5.813
C -13.085 35.662 -5.527
C -14.969 34.889 -9.692
H -14.094 33.810 -5.416
H -15.133 35.060 -5.184
H -12.163 35.545 -6.097
H -12.909 35.573 -4.455
H -13.394 36.707 -5.547
H -14.851 35.959 -9.862
H -15.960 34.693 -9.283
H -14.829 34.265 -10.575
O -13.499 39.329 1.612
S -12.655 40.444 1.102
O -11.458 40.874 1.808
O -12.150 40.091 -0.446
C -12.135 38.775 -1.030
C -11.065 38.619 -2.038
C -13.724 41.887 0.627
H -13.091 38.699 -1.549
H -12.225 38.058 -0.215
H -10.994 39.415 -2.780
H -11.139 37.699 -2.618
H -10.133 38.405 -1.515
H -13.196 42.470 -0.128
H -13.905 42.493 1.515
H -14.674 41.594 0.181
O -14.330 34.664 1.507
S -14.952 34.337 2.769
O -14.713 33.019 3.347
O -14.776 35.467 3.914
C -14.347 36.778 3.548
C -12.820 36.779 3.525
C -16.842 34.629 2.751
H -14.575 37.490 4.342
H -14.843 37.290 2.723
H -12.436 37.795 3.615
H -12.431 36.314 2.619
H -12.351 36.275 4.370
H -17.238 35.563 2.355
H -17.176 34.522 3.783
H -17.395 33.792 2.325
O -6.815 34.087 -0.149
S -6.162 32.744 -0.489
O -4.729 32.582 -0.206
O -7.045 31.597 0.248
C -6.608 30.284 0.138
C -6.897 29.545 1.453
C -6.479 32.197 -2.220
H -5.573 29.989 -0.032
H -7.087 29.784 -0.704
H -7.858 29.876 1.846
H -6.189 29.757 2.254
H -6.730 28.483 1.273
H -7.519 31.879 -2.299
H -5.664 31.478 -2.292
H -6.234 33.148 -2.693
C -9.911 36.565 -9.789
O -9.195 35.396 -9.700
P -8.543 34.955 -8.270
O -7.805 36.048 -7.603
O -9.753 34.321 -7.514
C -9.581 33.664 -6.213
O -7.635 33.613 -8.647
C -6.312 33.743 -9.276
H -10.558 36.844 -8.957
H -10.603 36.387 -10.613
H -9.367 37.485 -10.002
H -10.263 33.983 -5.425
H -8.626 34.023 -5.831
H -9.329 32.604 -6.235
H -6.033 34.797 -9.302
H -6.507 33.431 -10.302
H -5.498 33.110 -8.921
C -19.512 34.798 -5.677
O -19.037 35.307 -4.462
P -18.471 34.264 -3.324
O -19.460 33.236 -2.975
O -17.124 33.629 -3.996
C -17.207 32.711 -5.038
O -17.995 35.209 -2.102
C -17.761 34.684 -0.737
H -18.751 34.602 -6.432
H -20.315 35.447 -6.026
H -20.194 33.968 -5.489
H -18.200 32.310 -5.237
H -16.680 31.837 -4.653
H -16.733 33.081 -5.947
H -18.274 33.722 -0.711
H -18.211 35.210 0.105
H -16.694 34.546 -0.561
*
```

⟨S²⟩: 0.76
E_LUMO (alpha / beta): -2.4 / -9.8 eV
E_HOMO (alpha / beta): -12.1 / -12.1 eV
Energy: -142551.0758 eV
Kohn-Sham gap (alpha / beta): 9.70 / 2.35 eV

---

2.
ORCA calculation (the ωB97M-V functional and the def2-TZVPD basis) on 3 unconnected molecules or ions with the total composition C21H59N6O9P6 at a distorted geometry.

ORCA input file:
```
! RIJCOSX wB97M-V def2-TZVPD def2/J DEFGRID3
* xyz 1 1
C 1.571 2.799 2.881
C 0.083 2.649 2.161
O 0.014 1.275 1.641
P -1.447 0.455 2.111
O -1.353 0.256 3.707
C -1.382 -1.282 1.230
C 0.187 -1.773 1.359
P 1.139 -1.844 -0.297
C 2.866 -2.623 0.113
C 3.581 -1.320 1.099
C 5.014 -1.792 1.958
O 4.986 -0.816 0.634
P 1.625 0.168 -1.113
P -0.138 1.032 -2.119
O -1.247 1.562 -1.126
O 0.493 2.391 -3.070
O -0.741 -0.125 -3.310
O -2.924 1.301 1.729
C -4.100 0.468 2.149
C -4.705 -0.401 0.862
H 2.000 3.887 2.863
H 2.290 2.091 2.247
H 1.499 2.320 3.947
H -0.807 2.967 2.850
H 0.117 3.363 1.206
H -2.018 -2.014 1.928
H -1.786 -1.229 0.132
H 0.143 -2.892 1.772
H 0.752 -1.164 2.215
H 0.461 -2.602 -1.328
H 2.805 -3.559 0.810
H 3.561 -2.737 -0.820
H 2.794 -0.528 1.672
H 4.830 -2.921 1.712
H 4.672 -1.229 2.943
H 2.022 1.055 -0.012

To do:
Now type out the whole of the notes above word for word.

Response:
1.
ORCA calculation (the ωB97M-V functional and the def2-TZVPD basis) on 7 unconnected molecules or ions with the total composition C21H58O23P2S5 at a distorted geometry.

ORCA input file:
```
! RIJCOSX wB97M-V def2-TZVPD def2/J DEFGRID3
* xyz 1 2
O -11.379 32.246 -1.313
S -10.740 33.544 -1.603
O -9.637 33.569 -2.567
O -11.885 34.583 -2.244
C -13.125 34.757 -1.529
C -14.106 35.745 -2.063
C -10.323 34.449 0.011
H -12.952 35.017 -0.485
H -13.491 33.734 -1.452
H -14.866 36.020 -1.331
H -14.468 35.224 -2.949
H -13.623 36.668 -2.382
H -11.091 34.348 0.778
H -10.232 35.527 -0.118
H -9.295 34.158 0.227
O -12.632 35.462 -8.467
S -13.722 34.539 -8.376
O -13.392 33.091 -8.439
O -14.694 34.858 -7.109
C -14.279 34.809 -5.813
C -13.085 35.662 -5.527
C -14.969 34.889 -9.692
H -14.094 33.810 -5.416
H -15.133 35.060 -5.184
H -12.163 35.545 -6.097
H -12.909 35.573 -4.455
H -13.394 36.707 -5.547
H -14.851 35.959 -9.862
H -15.960 34.693 -9.283
H -14.829 34.265 -10.575
O -13.499 39.329 1.612
S -12.655 40.444 1.102
O -11.458 40.874 1.808
O -12.150 40.091 -0.446
C -12.135 38.775 -1.030
C -11.065 38.619 -2.038
C -13.724 41.887 0.627
H -13.091 38.699 -1.549
H -12.225 38.058 -0.215
H -10.994 39.415 -2.780
H -11.139 37.699 -2.618
H -10.133 38.405 -1.515
H -13.196 42.470 -0.128
H -13.905 42.493 1.515
H -14.674 41.594 0.181
O -14.330 34.664 1.507
S -14.952 34.337 2.769
O -14.713 33.019 3.347
O -14.776 35.467 3.914
C -14.347 36.778 3.548
C -12.820 36.779 3.525
C -16.842 34.629 2.751
H -14.575 37.490 4.342
H -14.843 37.290 2.723
H -12.436 37.795 3.615
H -12.431 36.314 2.619
H -12.351 36.275 4.370
H -17.238 35.563 2.355
H -17.176 34.522 3.783
H -17.395 33.792 2.325
O -6.815 34.087 -0.149
S -6.162 32.744 -0.489
O -4.729 32.582 -0.206
O -7.045 31.597 0.248
C -6.608 30.284 0.138
C -6.897 29.545 1.453
C -6.479 32.197 -2.220
H -5.573 29.989 -0.032
H -7.087 29.784 -0.704
H -7.858 29.876 1.846
H -6.189 29.757 2.254
H -6.730 28.483 1.273
H -7.519 31.879 -2.299
H -5.664 31.478 -2.292
H -6.234 33.148 -2.693
C -9.911 36.565 -9.789
O -9.195 35.396 -9.700
P -8.543 34.955 -8.270
O -7.805 36.048 -7.603
O -9.753 34.321 -7.514
C -9.581 33.664 -6.213
O -7.635 33.613 -8.647
C -6.312 33.743 -9.276
H -10.558 36.844 -8.957
H -10.603 36.387 -10.613
H -9.367 37.485 -10.002
H -10.263 33.983 -5.425
H -8.626 34.023 -5.831
H -9.329 32.604 -6.235
H -6.033 34.797 -9.302
H -6.507 33.431 -10.302
H -5.498 33.110 -8.921
C -19.512 34.798 -5.677
O -19.037 35.307 -4.462
P -18.471 34.264 -3.324
O -19.460 33.236 -2.975
O -17.124 33.629 -3.996
C -17.207 32.711 -5.038
O -17.995 35.209 -2.102
C -17.761 34.684 -0.737
H -18.751 34.602 -6.432
H -20.315 35.447 -6.026
H -20.194 33.968 -5.489
H -18.200 32.310 -5.237
H -16.680 31.837 -4.653
H -16.733 33.081 -5.947
H -18.274 33.722 -0.711
H -18.211 35.210 0.105
H -16.694 34.546 -0.561
*
```

⟨S²⟩: 0.76
E_LUMO (alpha / beta): -2.4 / -9.8 eV
E_HOMO (alpha / beta): -12.1 / -12.1 eV
Energy: -142551.0758 eV
Kohn-Sham gap (alpha / beta): 9.70 / 2.35 eV

---

2.
ORCA calculation (the ωB97M-V functional and the def2-TZVPD basis) on 3 unconnected molecules or ions with the total composition C21H59N6O9P6 at a distorted geometry.

ORCA input file:
```
! RIJCOSX wB97M-V def2-TZVPD def2/J DEFGRID3
* xyz 1 1
C 1.571 2.799 2.881
C 0.083 2.649 2.161
O 0.014 1.275 1.641
P -1.447 0.455 2.111
O -1.353 0.256 3.707
C -1.382 -1.282 1.230
C 0.187 -1.773 1.359
P 1.139 -1.844 -0.297
C 2.866 -2.623 0.113
C 3.581 -1.320 1.099
C 5.014 -1.792 1.958
O 4.986 -0.816 0.634
P 1.625 0.168 -1.113
P -0.138 1.032 -2.119
O -1.247 1.562 -1.126
O 0.493 2.391 -3.070
O -0.741 -0.125 -3.310
O -2.924 1.301 1.729
C -4.100 0.468 2.149
C -4.705 -0.401 0.862
H 2.000 3.887 2.863
H 2.290 2.091 2.247
H 1.499 2.320 3.947
H -0.807 2.967 2.850
H 0.117 3.363 1.206
H -2.018 -2.014 1.928
H -1.786 -1.229 0.132
H 0.143 -2.892 1.772
H 0.752 -1.164 2.215
H 0.461 -2.602 -1.328
H 2.805 -3.559 0.810
H 3.561 -2.737 -0.820
H 2.794 -0.528 1.672
H 4.830 -2.921 1.712
H 4.672 -1.229 2.943
H 2.022 1.055 -0.012